Many of us who have built long careers in this industry have done so because we have had the pleasure of cultivating long-term relationships that have helped to advance our careers and businesses.
Entry 1:
The following is a DFT calculation (PBE-GGA) of crystalline ZnAg at its relaxed geometry.

Values from the calculation:
- Fermi-level density of states: 0.86 states/eV per cell
- Size of the total moment: 0.000 μB/cell
- Crystal system: hexagonal

```
ZnAg
1.0
2.9195 0.0000 0.0000
-1.4598 2.5284 0.0000
0.0000 0.0000 4.4482
Zn Ag
1 1
direct
0.0000 0.0000 0.0000
0.3333 0.6667 0.5000
```

Entry 2:
The following is a DFT calculation (PBE-GGA) of crystalline ZnAg4 at its relaxed geometry.

Values from the calculation:
- Fermi-level density of states: 1.82 states/eV per cell
- Size of the total moment: 0.000 μB/cell
- Crystal system: cubic

```
ZnAg4
1.0
-2.9728 2.9728 2.9728
2.9728 -2.9728 2.9728
2.9728 2.9728 -2.9728
Zn Ag
1 4
direct
0.0000 0.0000 0.0000
0.0000 0.0000 0.5000
0.0000 0.5000 0.0000
0.5000 0.0000 0.0000
0.5000 0.5000 0.5000
```

Entry 3:
The following is a DFT calculation (PBE-GGA) of crystalline ZnAg4 at its relaxed geometry.

Values from the calculation:
- Fermi-level density of states: 1.35 states/eV per cell
- Size of the total moment: 0.000 μB/cell
- Crystal system: monoclinic

```
ZnAg4
1.0
4.8823 -1.5160 0.0000
4.8823 1.5160 0.0000
-4.0563 0.0000 5.8125
Zn Ag
1 4
direct
0.0000 0.0000 0.0000
0.2129 0.2129 0.8035
0.4090 0.4090 0.6149
0.5910 0.5910 0.3851
0.7871 0.7871 0.1965
```

Entry 4:
The following is a DFT calculation (PBE-GGA) of crystalline ZnAg at its relaxed geometry.

Values from the calculation:
- Fermi-level density of states: 1.99 states/eV per cell
- Size of the total moment: 0.000 μB/cell
- Crystal system: trigonal

```
ZnAg
1.0
1.4439 0.8336 9.2295
-1.4439 0.8336 9.2295
0.0000 -1.6673 9.2295
Zn Ag
2 2
direct
0.1257 0.1257 0.1257
0.8743 0.8743 0.8743
0.3778 0.3778 0.3778
0.6222 0.6222 0.6222
```

One value per record, in order, for calculated volume: 32.84 105.09 86.04 33.33 Å³/f.u..
One value per record, in order, for electronic total energy: -4.2 -11.2 -12.7 -4.0 eV/f.u..

----------

Compound: MgRuRh
Source: Alexandria
Functional: GGA-PBE
Structure: optimized geometry

Geometry as extended XYZ:
```
6
Lattice="13.165 0.000 0.000 0.000 1.401 2.426 0.000 -1.401 2.426" Properties=species:S:1:pos:R:3 pbc="T T T"
Mg 2.237 0.000 0.000
Mg 10.928 0.000 0.000
Ru 0.000 0.000 3.238
Ru 6.582 0.000 4.848
Rh 4.450 0.000 3.231
Rh 8.715 0.000 3.231
```

Computed properties:
Uncorrected energy in eV per atom: -6.0844
E above lowest polymorph in meV per atom: 82.9
Total magnetic moment in μB/f.u.: 0.00

----------

# 1
# HfMnP2C, single point on PBEsol structure, DFT meta-GGA SCAN
data_HfMnP2C
_symmetry_space_group_name_H-M 'P 1'
_symmetry_Int_Tables_number 1
_cell_length_a 3.496
_cell_length_b 4.528
_cell_length_c 4.528
_cell_angle_alpha 90.00
_cell_angle_beta 90.00
_cell_angle_gamma 90.00
loop_
_symmetry_equiv_pos_as_xyz
'x,y,z'
loop_
_atom_site_label
_atom_site_fract_x
_atom_site_fract_y
_atom_site_fract_z
P1 0.000 0.000 0.500
P2 0.000 0.500 0.000
Hf1 0.500 0.500 0.500
Mn1 0.000 0.000 0.000
C1 0.500 0.000 0.000
Most of us have done this during much simpler times. Those of us older industry citizens refer to those days as “the good-old days.” But today, with the rapid pace of change we all face and with many younger people more comfortable communicating through texting rather than through tried-and-true ways of building personal networks such as connecting by phone or better yet, in person, it is vital we cultivate a strong network for our next generation of leaders in our companies.
**Materials data, kept here for reference:**
The following is a SCAN calculation of HfI2NF at its PBEsol-relaxed geometry, from Alexandria.

Calculated values
magnetic moment = 2.008 μB/cell
raw total energy = -30.1039 eV/atom

Unit cell a=4.0430 b=5.5854 c=5.5854 alpha=90.00 beta=90.00 gamma=90.00
Last column: nearest neighbours and their distance in Å.
Element x y z (fractional)
N  0.5000  0.0000  0.0000  2 Hf 2.02
F  0.5000  0.5000  0.5000  8 I 3.45
I  0.0000  0.5000  0.0000  2 Hf 2.79
I  0.0000  0.0000  0.5000  2 Hf 2.79
Hf  0.0000  0.0000  0.0000  2 N 2.02


The following is a SCAN calculation of MnF3 at its PBEsol-relaxed geometry, from Alexandria.

Calculated values
magnetic moment = 40.000 μB/cell
raw total energy = -10.0288 eV/atom

Unit cell a=3.8168 b=12.2130 c=12.2130 alpha=90.00 beta=90.00 gamma=90.00
Last column: nearest neighbours and their distance in Å.
Element x y z (fractional)
F  0.5000  0.5017  0.8452  2 Mn 1.89-1.92
F  0.0000  0.2076  0.0778  2 Mn 1.91
F  0.5000  0.1416  0.9343  2 Mn 1.90-1.92
F  0.5000  0.7151  0.7849  2 Mn 1.94
F  0.5000  0.9983  0.3452  2 Mn 1.89-1.92
F  0.5000  0.2849  0.2151  2 Mn 1.94
F  0.0000  0.0000  0.5000  2 Mn 1.91
F  0.5000  0.4343  0.6416  2 Mn 1.90-1.92
F  0.5000  0.3452  0.0017  2 Mn 1.89-1.92
F  0.0000  0.7076  0.4222  2 Mn 1.91
F  0.5000  0.6548  0.9983  2 Mn 1.89-1.92
F  0.0000  0.2924  0.5778  2 Mn 1.91
F  0.0000  0.5000  0.0000  2 Mn 1.91
F  0.0000  0.0778  0.7924  2 Mn 1.91
F  0.5000  0.5657  0.3584  2 Mn 1.90-1.92
F  0.0000  0.4222  0.2924  2 Mn 1.91
F  0.5000  0.2151  0.7151  2 Mn 1.94
F  0.5000  0.1548  0.5017  2 Mn 1.89-1.92
F  0.0000  0.7924  0.9222  2 Mn 1.91
F  0.0000  0.5778  0.7076  2 Mn 1.91
F  0.5000  0.0657  0.1416  2 Mn 1.90-1.92
F  0.5000  0.4983  0.1548  2 Mn 1.89-1.92
F  0.0000  0.9222  0.2076  2 Mn 1.91
F  0.5000  0.3584  0.4343  2 Mn 1.90-1.92
F  0.5000  0.7849  0.2849  2 Mn 1.94
F  0.5000  0.0017  0.6548  2 Mn 1.89-1.92
F  0.5000  0.6416  0.5657  2 Mn 1.90-1.92
F  0.5000  0.9343  0.8584  2 Mn 1.90-1.92
F  0.5000  0.8452  0.4983  2 Mn 1.89-1.92
F  0.5000  0.8584  0.0657  2 Mn 1.90-1.92
Mn  0.5000  0.5769  0.7073  6 F 1.90-1.94
Mn  0.5000  0.2927  0.5769  6 F 1.90-1.94
Mn  0.5000  0.5000  0.0000  6 F 1.89-1.91
Mn  0.5000  0.7927  0.9231  6 F 1.90-1.94
Mn  0.5000  0.7073  0.4231  6 F 1.90-1.94
Mn  0.5000  0.0769  0.7927  6 F 1.90-1.94
Mn  0.5000  0.9231  0.2073  6 F 1.90-1.94
Mn  0.5000  0.2073  0.0769  6 F 1.90-1.94
Mn  0.5000  0.4231  0.2927  6 F 1.90-1.94
Mn  0.5000  0.0000  0.5000  6 F 1.89-1.91


The following is a SCAN calculation of Cr2Rh at its PBEsol-relaxed geometry, from Alexandria.

Calculated values
magnetic moment = 0.000 μB/cell
energy relative to the elements = -0.044 eV/atom

Unit cell a=4.6582 b=4.6582 c=4.6582 alpha=60.00 beta=60.00 gamma=60.00
Last column: nearest neighbours and their distance in Å.
Element x y z (fractional)
Rh  0.7500  0.7500  0.7500  12 Cr 2.73, 4 Rh 2.85
Rh  0.5000  0.5000  0.5000  12 Cr 2.73, 4 Rh 2.85
Cr  0.1250  0.6250  0.1250  6 Cr 2.33
Now it could just be me or the fact I’m a grandfather, but I just can’t see how the next generation of leaders will ever build a network by engaging in the back and forth of sending 10 texts when a phone call would be so much easier. It just may be my personal desire to personally talk to someone rather than engaging in the back and forth of the text barrage. Or maybe it’s the fact I type too slow and get three texts before I have finished replying to the first text?
As we look to cultivate the abilities of our emerging men and women leaders on our management teams who will drive the dynamic change needed to happen for our firms to grow and thrive, it’s incumbent upon us to look to provide a strong network for them to rely upon.
Our buying groups are important and offer value, but the value from building networks in other areas is also crucial to the growth of our next generation of leaders. And networking with people in similar perspectives or job functions is highly valuable to our employees.
The American Supply Association has built two critical networks that have rapidly grown in both participation and value. Our Women in Industry Division has seen unprecedented growth and having recently attended their annual conference in Savannah, Georgia, I can attest that the energy and excitement happening in this division has given me great satisfaction that the future of our industry will be well-served as we look to attract more women into our industry.
And having just returned from attending the ASA Emerging Leaders Spring Forum held in Jersey City, New Jersey, I am excited that both of our rapidly growing divisions now give ASA a one-two punch in valuable networking options for our members. Between both sessions, we had more than 400 of our industry’s next generation of leaders building their current and future networks.
We must make sure that these young leaders get the same valuable networks that we spent a generation cultivating ourselves and have benefited from.
Over the next few issues of Supply House Times magazine, you will see highlights from both of these highly valuable networking conferences. The excitement and value in sending your key future team members is real.
The benefits I have personally seen in my company after having members of my team come back from these sessions pumped and excited about their future is undeniable.
Inserted here: crystal structures:
Below is an optimized crystal structure of SrAlGeOs2, with properties calculated at the PBE level.

Output
Magnetic moment = 0.062 Bohr magnetons per cell
SG = No. 123
Calculated formation energy = 1151 meV per atom
Density of states at the Fermi level = 0.980 states/eV/atom
E = -5.35 eV per atom

Unit cell a=4.644 b=4.644 c=5.296 alpha=90.00 beta=90.00 gamma=90.00
Element x y z (fractional)
Sr: 0.000 0.000 0.000
Al: 0.500 0.500 0.000
Ge: 0.000 0.000 0.500
Os: 0.000 0.500 0.500
Os: 0.500 0.000 0.500

* * * * *

The following is a DFT calculation (SCAN) of a crystal of YTaTc2 relaxed with PBEsol.

Properties
The calculation puts the formation energy from the elements at 0.162 eV/atom. The density of states at the Fermi level comes out at 0.869 states/eV/atom. For the density, the calculation gives 11.25 Mg/m³.

Cell lengths 2.9156, 4.5123, 5.3527 Å; angles 90.00, 102.35, 90.00 degrees
With the nearest neighbours (Å) after each atom.
Positions (direct):
Y1 0.0000 0.0000 0.0000  4 Tc 2.72-2.80, 2 Y 2.92, 2 Ta 2.93
Ta1 0.7254 0.5000 0.2845  4 Tc 2.62-2.91, 2 Ta 2.92, 2 Y 2.93
Tc1 0.2447 0.5000 0.7480  2 Ta 2.62-2.91, 4 Tc 2.77-2.92, 2 Y 2.80
Tc2 0.4994 0.0000 0.5081  2 Ta 2.70, 2 Y 2.72-2.80, 4 Tc 2.77-2.92

* * * * *

[1]
A geometry-optimized V2PdBr structure, computed with PBE.

Structure (POSCAR):
```
V2PdBr
1.0
6.772 0.000 0.000
0.000 6.772 0.000
3.386 3.386 3.305
Pd Br V
2 2 4
Cartesian
0.000 0.000 0.000
6.772 3.386 1.653
3.386 3.386 0.000
3.386 6.772 1.653
5.094 1.693 0.826
1.678 5.079 0.826
5.079 5.064 2.479
8.465 8.479 2.479
```

Output
ΔE to the lowest computed polymorph: 145 meV/atom
Symmetry: I-42d (122)
Crystal system: tetragonal
Energy relative to the elements, uncorrected: 13.7 kcal/mol of atoms

---

[2]
A geometry-optimized VPd2Br structure, computed with PBE.

Structure (POSCAR):
```
VPd2Br
1.0
6.470 0.000 0.000
0.000 6.470 0.000
3.235 3.235 4.158
Pd Br V
4 2 2
Cartesian
4.634 1.618 1.039
1.836 4.853 1.039
4.853 5.071 3.118
8.088 7.869 3.118
0.000 0.000 0.000
6.470 3.235 2.079
3.235 3.235 0.000
3.235 6.470 2.079
```

Output
ΔE to the lowest computed polymorph: 129 meV/atom
Symmetry: I-42d (122)
Crystal system: tetragonal
Energy relative to the elements, uncorrected: 11.6 kcal/mol of atoms

* * * * *

Below is a relaxed Tb5Dy5In2 crystal, with properties calculated at the PBE-GGA level.

Values from the calculation:
The calculated total energy comes out at -4.435 eV/atom. For the formation energy, the calculation gives -132 meV/atom. The magnetic moment comes out at 0.00 μB per atom.

abc: 5.4111 6.6544 16.4457
angles: 132.45 90.00 113.99
With the nearest neighbours (Å) after each atom.
Element x y z (fractional)
Dy (0.4305, 0.8610, 0.2504)  2 In 3.40, 7 Tb 3.53-3.65, 4 Dy 3.54-3.62
Dy (0.5695, 0.1390, 0.7496)  2 In 3.40, 7 Tb 3.53-3.65, 4 Dy 3.54-3.62
Dy (0.8539, 0.7078, 0.5328)  1 In 3.18, 2 Dy 3.29, 3 Tb 3.41-3.49
Dy (0.1461, 0.2922, 0.4672)  1 In 3.18, 2 Dy 3.29, 3 Tb 3.41-3.49
While both the Women in Industry and Emerging Leaders conferences are over for this year, get your company signed up to be a part of the exciting things happening in these two divisions and make sure the women professionals and emerging leaders in your company are receiving the information these two groups offer throughout the year.
Get them connected today and watch the excitement in your company grow.